### Assignment
Your job: retype the part of the data below that starts with the line with "Alexandria" and stops after the one with "_atom_site_fract_z".

### File
~~~
Calculated powder diffraction line list
Compound: RbNi4Bi12
Radiation: Cu Kα (λ = 1.5418 Å)
Structure: the PBE geometry in Alexandria
Neutral-atom scattering factors, no anomalous dispersion.

Peak list (10 most intense, 2θ from 10° to 90°, low angle first)
two_theta  d [Å]  I (rel.)
28.90  3.090  100
34.34  2.611  42
41.32  2.185  14
43.44  2.083  11
45.48  1.995  15
47.44  1.916  22
54.78  1.676  20
56.51  1.629  14
64.70  1.441  21
84.05  1.152  13

```
data_RbNi4Bi12
_cell_length_a 9.7710
_cell_length_b 9.7710
_cell_length_c 9.7710
_cell_angle_alpha 90.00
_cell_angle_beta 90.00
_cell_angle_gamma 90.00
_space_group_name_H-M_alt 'I m -3'
_space_group_IT_number 204
_space_group_name_Hall '-I 2 2 3'
loop_
_atom_site_label
_atom_site_type_symbol
_atom_site_fract_x
_atom_site_fract_y
_atom_site_fract_z
Rb1 Rb 0.0000 0.0000 0.0000
Ni1 Ni 0.2500 0.2500 0.2500
Bi1 Bi 0.0000 0.3370 0.1654
```
~~~

### Here it is
Structure: the PBE geometry in Alexandria
Neutral-atom scattering factors, no anomalous dispersion.

Peak list (10 most intense, 2θ from 10° to 90°, low angle first)
two_theta  d [Å]  I (rel.)
28.90  3.090  100
34.34  2.611  42
41.32  2.185  14
43.44  2.083  11
45.48  1.995  15
47.44  1.916  22
54.78  1.676  20
56.51  1.629  14
64.70  1.441  21
84.05  1.152  13

```
data_RbNi4Bi12
_cell_length_a 9.7710
_cell_length_b 9.7710
_cell_length_c 9.7710
_cell_angle_alpha 90.00
_cell_angle_beta 90.00
_cell_angle_gamma 90.00
_space_group_name_H-M_alt 'I m -3'
_space_group_IT_number 204
_space_group_name_Hall '-I 2 2 3'
loop_
_atom_site_label
_atom_site_type_symbol
_atom_site_fract_x
_atom_site_fract_y
_atom_site_fract_z